Founded in 1992 by current CEO Remi Racine, Behaviour Interactive is one of the largest and most successful independent game developers in Canada. Their team is made up of over 300 employees and is headquartered here in Montreal.
In the last year, Behaviour has worked on games like the award-winning iOS game Fallout Shelter, which the organization made in partnership with Bethesda Game Solutions. The team also worked on $92 million Kickstarter project, Star Citizen—the biggest crowdfunded video game ever developed for Microsoft Windows and Linux. Their success has been tied to their ability to make their games interactive, artistic, and above all, fun.
[1]
Starting from a GGA-PBE-relaxed structure, the powder diffraction line list of BeIr2Au was calculated for Cu Ka.
No peak broadening, texture or thermal motion is included.

Largest 12 diffraction maxima, most intense first, 10 to 90 degrees two-theta:
2θ (°)  I_rel  (hkl)
43.18  100.0  1 1 2
37.72  40.6  0 2 0
30.94  32.1  0 0 3
39.04  29.4  1 1 1
10.20  28.1  0 0 1
66.60  24.5  1 1 5
71.87  22.6  1 3 2
41.66  19.4  0 0 4
49.56  17.7  0 2 3
57.45  15.2  0 2 4
20.48  14.9  0 0 2
80.22  9.5  2 2 0

Structural model:
Lattice parameters (Å, degrees): 2.767 4.769 8.671 90.00 90.00 90.00
Sites, in units of the cell vectors:
Be: 0.000 0.000 0.000
Be: 0.500 0.500 0.000
Ir: 0.000 0.000 0.479
Ir: 0.000 0.500 0.209
Ir: 0.500 0.000 0.209
Ir: 0.500 0.500 0.479
Au: 0.000 0.500 0.772
Au: 0.500 0.000 0.772



[2]
Starting from a GGA-PBE-relaxed structure, the powder diffraction line list of ZnCu6Pt was calculated for Cu Ka.
No peak broadening, texture or thermal motion is included.

Largest 12 diffraction maxima, most intense first, 10 to 90 degrees two-theta:
2θ (°)  I_rel  (hkl)
45.22  100.0  2 0 1
42.20  27.0  0 0 2
39.72  26.4  2 0 0
79.28  19.8  2 0 3
87.22  18.3  2 2 2
19.56  16.6  1 0 0
28.66  16.1  1 0 1
59.33  15.6  2 0 2
72.09  15.2  2 2 0
89.31  14.6  4 0 1
40.35  5.8  1 1 1
20.74  5.2  0 0 1

Structural model:
Lattice parameters (Å, degrees): 5.241 5.241 4.283 90.00 90.00 120.00
Sites, in units of the cell vectors:
Zn: 0.000 0.000 0.000
Cu: 0.006 0.503 0.000
Cu: 0.168 0.336 0.500
Cu: 0.168 0.832 0.500
Cu: 0.497 0.503 0.000
Cu: 0.497 0.994 0.000
Cu: 0.664 0.832 0.500
Pt: 0.667 0.333 0.500



[3]
Starting from a GGA-PBE-relaxed structure, the powder diffraction line list of U4Ag2S9 was calculated for Cu Ka.
No peak broadening, texture or thermal motion is included.

Largest 12 diffraction maxima, most intense first, 10 to 90 degrees two-theta:
2θ (°)  I_rel  (hkl)
26.37  100.0  1 1 0
39.22  95.4  2 -1 6
24.29  90.1  1 0 4
17.85  49.6  0 1 2
46.54  43.9  3 0 0
45.30  40.1  3 -1 4
36.16  39.7  0 2 4
62.44  24.1  2 2 6
51.05  23.9  1 0 10
81.35  22.9  5 -1 6
65.13  21.6  2 1 10
15.13  20.1  1 0 0

Structural model:
Lattice parameters (Å, degrees): 6.760 6.760 18.788 90.00 90.00 120.00
Sites, in units of the cell vectors:
U: 0.333 0.667 0.015
U: 0.333 0.667 0.322
U: 0.333 0.667 0.516
U: 0.333 0.667 0.821
U: 0.667 0.333 0.179
U: 0.667 0.333 0.484
U: 0.667 0.333 0.678
U: 0.667 0.333 0.985
Ag: 0.000 0.000 0.156
Ag: 0.000 0.000 0.342
Ag: 0.000 0.000 0.658
Ag: 0.000 0.000 0.844
S: 0.006 0.676 0.250
S: 0.035 0.669 0.919
S: 0.036 0.367 0.419
S: 0.324 0.330 0.250
S: 0.330 0.006 0.750
S: 0.331 0.366 0.919
S: 0.331 0.964 0.419
S: 0.366 0.035 0.081
S: 0.367 0.331 0.581
S: 0.633 0.669 0.419
S: 0.634 0.965 0.919
S: 0.669 0.036 0.581
S: 0.669 0.634 0.081
S: 0.670 0.994 0.250
S: 0.676 0.670 0.750
S: 0.964 0.633 0.581
S: 0.965 0.331 0.081
S: 0.994 0.324 0.750



[4]
“Fun is very complicated,” Creative Director Peter Hammer explained. “The only thing you know is when you’re having it and when you’re not having it.”
With this in mind, Behaviour has curated a series of key universal ingredients to creating fun in video games. This is what Senior Vice-President Dominique Lebel calls “game design thinking.”
A study conducted by Microsoft revealed that humans’ attention span has dropped from 12 to eight seconds due to smartphone usage. This means that a game must be designed as a first time experience. Its virtual world must contain a set of rules that remain persistent, unchanging, and therefore learnable to the user. There needs to be easily identifiable goals to reach and a motivating reason as to why those goals should be reached. The game must be simple and include engagement and re-engagement tools. There must be visible progress, a tangible feeling of moving forwards. Social involvement, competitiveness, and cooperation are also key. Finally, a fun game requires the idea of winning.

What Behaviour Business Solutions found, however, was that these exact same ingredients—this game design thinking—can be applied outside of videogames, and be just as effective. Although the idea of using game mechanics in business, specifically marketing, has existed for a long time, it hasn’t evolved much. Known as ‘gameification,’ the process of using games in business never evolved beyond simple tactics such as a game of spin-the-wheel to win a cup of coffee. Now, however, most people carry smartphones, which Behaviour Business Solutions aims to target to revolutionize experiences through game mechanics.
“Imagine if I was coming into work every single day [and] it was a fair world where the rules were incredibly simple; I had clear goals, there was an engagement mechanism, and I knew what I had to do to win,” Hammer stated. “[That] would be a perfect world. These mechanics exist in a game but they don’t exist in our everyday world, [which] makes it imperfect.”
Behaviour believes the problem with the real world is a lack of immediate validation. When short term results are not visible, motivation goes down. Behaviour is utilizing game design thinking to fill that gap. One of the first ways they have begun doing this is by revolutionizing the work experience. The goal is to engage employees, increase motivation, and transform learning.
[Inserted here: crystal structures]
'''
Computed X-ray diffraction stick pattern
Compound: Dy4Ho6Sc
Radiation: λ = 1.5418 Å (Cu Kα)
Structure: a DFT-relaxed cell (GGA-PBE, Alexandria)
Lines closer than 0.1° are merged.

Largest 6 diffraction maxima, low angle first, 10 to 80 degrees two-theta:
30.83 deg, intensity 58
30.97 deg, intensity 40
32.00 deg, intensity 56
32.43 deg, intensity 100
33.79 deg, intensity 48
45.14 deg, intensity 29

Cell and atoms:
Cell: 5.5225 5.5225 25.4133 Å, 90.00 90.00 119.15°
Element x y z (fractional)
Dy 0.0212 0.9788 0.6217
Dy 0.0212 0.9788 0.8783
Dy 0.3404 0.6596 0.5436
Dy 0.3404 0.6596 0.9564
Dy 0.6596 0.3404 0.0436
Dy 0.6596 0.3404 0.4564
Dy 0.9788 0.0212 0.1217
Dy 0.9788 0.0212 0.3783
Ho 0.0000 0.0000 0.0000
Ho 0.0000 0.0000 0.5000
Ho 0.0149 0.9851 0.7500
Ho 0.3156 0.6844 0.1074
Ho 0.3156 0.6844 0.3926
Ho 0.3504 0.6496 0.6830
Ho 0.3504 0.6496 0.8170
Ho 0.6496 0.3504 0.1830
Ho 0.6496 0.3504 0.3170
Ho 0.6844 0.3156 0.6074
Ho 0.6844 0.3156 0.8926
Ho 0.9851 0.0149 0.2500
Sc 0.3193 0.6807 0.2500
Sc 0.6807 0.3193 0.7500

---

Computed X-ray diffraction stick pattern
Compound: VIn
Radiation: λ = 1.5418 Å (Cu Kα)
Structure: a DFT-relaxed cell (GGA-PBE, Alexandria)
Lines closer than 0.1° are merged.

Largest 6 diffraction maxima, low angle first, 10 to 80 degrees two-theta:
27.79 deg, intensity 84
29.95 deg, intensity 88
35.36 deg, intensity 53
39.27 deg, intensity 40
39.70 deg, intensity 59
43.27 deg, intensity 100

Cell and atoms:
Cell: 7.3472 7.3472 7.3472 Å, 92.59 92.59 155.47°
Element x y z (fractional)
V 0.0685 0.3829 0.4513
V 0.3829 0.9315 0.3144
V 0.6171 0.0685 0.6856
V 0.9315 0.6171 0.5487
In 0.1179 0.8220 0.9399
In 0.1780 0.1179 0.2958
In 0.8220 0.8821 0.7042
In 0.8821 0.1780 0.0601

---

Computed X-ray diffraction stick pattern
Compound: SnS
Radiation: λ = 1.5418 Å (Cu Kα)
Structure: a DFT-relaxed cell (GGA-PBE, Alexandria)
Lines closer than 0.1° are merged.

Largest 6 diffraction maxima, low angle first, 10 to 80 degrees two-theta:
24.84 deg, intensity 61
27.79 deg, intensity 42
30.48 deg, intensity 100
30.59 deg, intensity 53
43.73 deg, intensity 74
50.97 deg, intensity 30

Cell and atoms:
Cell: 7.3998 6.9949 5.9460 Å, 69.21 62.10 48.70°
Element x y z (fractional)
Sn 0.1255 0.6245 0.6245
Sn 0.3755 0.8745 0.8745
Sn 0.6245 0.1255 0.1255
Sn 0.8745 0.3755 0.3755
S 0.0832 0.6668 0.0832
'''
To test their theory, Behaviour has been working with large firms such as Air Canada and Sobeys to transform their employee training processes. Infusing game mechanics into training is the distinction between a dreary test and a fun trivia game. Behaviour has also been working to employ virtual reality technology in training. This means effective use of the same technology that develops first person shooter games to create highly realistic first person training simulations. Although they are currently working largely with private corporations, this development is heading towards the public sector, specifically in education.
“Students are actually used to engaging with everything they’re doing, they’ve got all these two-way communication channels,” Hammer said. “They’re playing games; they’re completely connected at all times. Then, they go to school and the mechanics are ancient.”
Somewhere between elementary and middle school, education changes from a reward orientation to a punitive orientation. Whereas younger children are rewarded for good behaviour, older kids are being punished for bad behaviour. This extends into university and eventually the workforce. This system encourages students to prioritize grades over acquiring knowledge, which means they retain very little of the information that is important. Game design thinking will be able to make education engaging.
“It’s not a very fair system today,” Hammer said. “[The education system] values a [specific] form of academia. Some people are used to taking tests and they know how to get through the system. Are they the best? They’re the best at something. With game mechanics through design, [education] can value the best of many things.”
The US government has already begun funding initiatives to change the way people are educated. This process will begin with the younger groups who are more adaptive to new technology but will expand into more serious fields that require a long and theoretical education such as medicine.
“[Behaviour] is not only taking the old way of teaching and doing it digitally, but we are creating a new way of teaching,” Lebel stated.
Healthcare is the next public sector where game design thinking hopes to change. To do this, they want to shift the focus from treatment during illnesses to preventative care. In order to accomplish this, Behaviour aims to use the concept of immediate validation.
“The only reward in staying healthy […] is ‘I won’t get sick,’” Hammer said. “That’s a very obscure reward compared to [a] vice, which feels good.”
For example, a person may go out for drinks with friends or eat a bag of salty chips because it feels good immediately, whereas the long term health benefits of not doing those things feels bad.
********
No. 1
The following is a computed powder X-ray diffraction pattern of Zr4FeSiC2. It was derived from DFT lattice parameters and positions (GGA-PBE), using Cu Kα (λ = 1.5418 Å).

The 10 most intense peaks (5° ≤ 2θ ≤ 70°), low angle first:
- 2θ 6.54, d = 13.519 Å, rel. 10, (0 0 1)
- 2θ 26.37, d = 3.380 Å, rel. 9, (0 0 4)
- 2θ 31.30, d = 2.858 Å, rel. 24, (1 0 0)
- 2θ 32.01, d = 2.796 Å, rel. 13, (1 0 1)
- 2θ 37.26, d = 2.413 Å, rel. 100, (1 0 3)
- 2θ 40.02, d = 2.253 Å, rel. 13, (0 0 6)
- 2θ 51.66, d = 1.769 Å, rel. 13, (1 0 6)
- 2θ 55.71, d = 1.650 Å, rel. 23, (1 1 0)
- 2θ 57.60, d = 1.600 Å, rel. 9, (1 0 7)
- 2θ 68.94, d = 1.362 Å, rel. 15, (2 0 3)

Structural model:
Lattice parameters (Å, degrees): 3.3001 3.3001 13.5192 90.00 90.00 120.00
Space group P-6m2 (No. 187)
Unique sites:
Zr: 0.0000 0.0000 0.1469 x2
Zr: 0.3333 0.6667 0.3426 x2
Fe: 0.3333 0.6667 0.0000 x1
Si: 0.0000 0.0000 0.5000 x1
C: 0.6667 0.3333 0.2482 x2

=====

No. 2
The following is a computed powder X-ray diffraction pattern of Tb2Fe17C3. It was derived from DFT lattice parameters and positions (GGA-PBE), using Cu Kα (λ = 1.5418 Å).

The 10 most intense peaks (5° ≤ 2θ ≤ 70°), low angle first:
- 2θ 29.82, d = 2.996 Å, rel. 43, (1 1 3)
- 2θ 36.06, d = 2.491 Å, rel. 40, (3 0 0)
- 2θ 37.53, d = 2.396 Å, rel. 31, (0 2 4)
- 2θ 41.88, d = 2.157 Å, rel. 75, (2 2 0)
- 2θ 42.28, d = 2.138 Å, rel. 100, (3 0 3)
- 2θ 43.19, d = 2.095 Å, rel. 21, (2 1 4)
- 2θ 43.47, d = 2.082 Å, rel. 34, (0 0 6)
- 2θ 47.47, d = 1.915 Å, rel. 15, (2 2 3)
- 2θ 61.02, d = 1.518 Å, rel. 21, (1 4 3)
- 2θ 61.94, d = 1.498 Å, rel. 19, (2 2 6)

Structural model:
Lattice parameters (Å, degrees): 8.6288 8.6288 12.4921 90.00 90.00 120.00
Space group R-3m (No. 166, hexagonal axes)
Unique sites:
Tb: 0.0000 0.0000 0.1570 x6
Fe: 0.0000 0.0000 0.4048 x6
Fe: 0.0000 0.2837 0.5000 x18
Fe: 0.0000 0.5000 0.0000 x9
Fe: 0.0083 0.5042 0.3471 x18
C: 0.0000 0.5000 0.5000 x9

=====

No. 3
The following is a computed powder X-ray diffraction pattern of Tl2FeC4. It was derived from DFT lattice parameters and positions (GGA-PBE), using Cu Kα (λ = 1.5418 Å).

The 10 most intense peaks (5° ≤ 2θ ≤ 70°), low angle first:
- 2θ 23.79, d = 3.740 Å, rel. 59, (1 3 0)
- 2θ 25.54, d = 3.488 Å, rel. 86, (1 2 1)
- 2θ 28.23, d = 3.161 Å, rel. 100, (2 1 1)
- 2θ 28.91, d = 3.088 Å, rel. 18, (0 4 0)
- 2θ 30.87, d = 2.896 Å, rel. 26, (3 1 0)
- 2θ 36.02, d = 2.494 Å, rel. 19, (1 4 1)
- 2θ 37.25, d = 2.414 Å, rel. 19, (3 3 0)
- 2θ 46.04, d = 1.971 Å, rel. 36, (2 5 1)
- 2θ 53.89, d = 1.701 Å, rel. 27, (3 3 2)
- 2θ 56.96, d = 1.617 Å, rel. 20, (5 2 1)

Structural model:
Lattice parameters (Å, degrees): 8.938 12.353 4.797 90.00 90.00 90.00
Space group Ibam (No. 72)
Unique sites:
Tl: 0.148 0.151 0.000 x8
Fe: 0.000 0.500 0.250 x4
C: 0.118 0.423 0.000 x8
C: 0.225 0.350 0.000 x8

~~~~~

Entry 1:
Theoretical X-ray powder pattern
Compound: Ca2Pm5Os2
Radiation: Cu Kα
Structure: a DFT-relaxed cell (PBE, Alexandria)
********
Game design thinking can add immediate validation for someone who is trying to make healthy life choices when there are no visible, physical forms of immediate validation. To do this, Behaviour Interactive hopes to link users with health insurance premiums. Insurance companies can reward its users for good behaviour, such as eating healthy and quitting smoking.
The last sector that game design thinking will be able to tackle is environment. The idea of process is key here; through game mechanics, people will become more motivated to recycle if their garbage is able to tell them exactly how much carbon emission they eliminated. Game design thinking is filling the gap that is limiting rational decisions because the payoff is not evident.
These projects take a long time to complete and perhaps longer to become fully integrated. However, they are big steps towards a dramatic change in human behaviour. The idea of game design thinking is relatively new but packed with potential. Companies like Behaviour Interactive are paving the way towards a bold paradigm shift.